The dual-use joker card
Swiss universities don’t like to talk about weapons research. They argue that even research intended for civil purposes could always be put to military use.

Toy gun, 2014. Made by a visitor to Max Brück’s workshop at the Offenbach University of Art and Design. The topic: replicating toy weapons from childhood. The response to the workshop was similar to the reactions provoked by the weapons themselves: a mixture of fascination and repulsion | Photo: Janine Bächle
**Next to the page, the page also holds records of crystals**
____________
Entry from Alexandria: an optimized crystal structure of Cs3Cd2Bi4Pb2 (PBE-GGA).

Computed properties:
total magnetization = 0.00 μB per formula unit
DFT formation energy = -243.6 meV per atom
volume = 45.71 Å³ per atom

Lattice parameters (Å, degrees): 5.2241 5.2241 21.2743 90.00 90.00 120.00
Space group P-3m1 (No. 164)
One atom of each set of equivalent atoms:
1 Cs 0.0000 0.0000 0.0000 (multiplicity 1)
2 Cs 0.0000 0.0000 0.2760 (multiplicity 2)
3 Cd 0.3333 0.6667 0.1390 (multiplicity 2)
4 Bi 0.3333 0.6667 0.4027 (multiplicity 2)
5 Bi 0.3333 0.6667 0.8599 (multiplicity 2)
6 Pb 0.3333 0.6667 0.5525 (multiplicity 2)

~~~~~

# 1
# LiCa2Cd2

A PBEsol-optimized structure of LiCa2Cd2 (meta-GGA SCAN, Alexandria via LeMat-Bulk).

Cell lengths 4.451, 7.902, 7.902 Å; angles 90.00, 90.00, 90.00 degrees
Sites, in units of the cell vectors:
Ca  0.500  0.168  0.668
Ca  0.500  0.668  0.832
Ca  0.500  0.832  0.332
Ca  0.500  0.332  0.168
Li  0.000  0.000  0.000
Li  0.000  0.500  0.500
Cd  0.000  0.368  0.868
Cd  0.000  0.868  0.632
Cd  0.000  0.632  0.132
Cd  0.000  0.132  0.368

Computed properties:
**Raw total energy**: -16.814 eV per atom
**Formation energy**: -1.527 eV per formula unit


# 2
# Li2CaCd2

A PBEsol-optimized structure of Li2CaCd2 (meta-GGA SCAN, Alexandria via LeMat-Bulk).

Cell lengths 3.314, 8.165, 8.165 Å; angles 90.00, 90.00, 90.00 degrees
Sites, in units of the cell vectors:
Ca  0.000  0.000  0.000
Ca  0.000  0.500  0.500
Li  0.500  0.164  0.664
Li  0.500  0.664  0.836
Li  0.500  0.836  0.336
Li  0.500  0.336  0.164
Cd  0.000  0.371  0.871
Cd  0.000  0.871  0.629
Cd  0.000  0.629  0.129
Cd  0.000  0.129  0.371

Computed properties:
**Raw total energy**: -15.271 eV per atom
**Relative energy among the computed polymorphs**: 48 meV per atom
**Formation energy**: -1.082 eV per formula unit


# 3
# LiCaCd2

A PBEsol-optimized structure of LiCaCd2 (meta-GGA SCAN, Alexandria via LeMat-Bulk).

Cell lengths 4.663, 4.663, 5.358 Å; angles 115.80, 115.80, 90.00 degrees
Sites, in units of the cell vectors:
Ca  0.000  0.000  0.000
Cd  0.750  0.250  0.500
Cd  0.250  0.750  0.500
Li  0.500  0.500  0.000

Computed properties:
**Raw total energy**: -18.508 eV per atom
**Relative energy among the computed polymorphs**: 54 meV per atom
**Formation energy**: -1.151 eV per formula unit


# 4
# CaMg2Cd

A PBEsol-optimized structure of CaMg2Cd (meta-GGA SCAN, Alexandria via LeMat-Bulk).

Cell lengths 3.396, 5.046, 6.006 Å; angles 90.00, 100.54, 90.00 degrees
Sites, in units of the cell vectors:
Ca  0.500  0.500  0.000
Mg  0.853  0.000  0.729
Mg  0.147  0.000  0.271
Cd  0.000  0.500  0.500

Computed properties:
**Raw total energy**: -12.637 eV per atom
**Formation energy**: -0.523 eV per formula unit


# 5
# CaMg2Cd

A PBEsol-optimized structure of CaMg2Cd (meta-GGA SCAN, Alexandria via LeMat-Bulk).

Cell lengths 3.616, 3.616, 7.598 Å; angles 90.00, 90.00, 90.00 degrees
Sites, in units of the cell vectors:
Ca  0.000  0.000  0.517
Mg  0.000  0.000  0.986
____________
Should a university be allowed to develop weapons and acquire knowledge that might be used for the purposes of war? This is a complex question, and a political minefield – as becomes obvious when you try and ask Swiss universities to respond to it.
Many are of the opinion that asking about military research is something purely hypothetical. For example, ETH Zurich explains its stance as follows: "ETH Zurich does not carry out any weapons research – projects that are exclusively and explicitly designed to develop or improve weapons. That is why there is no register of any such projects". The University of Basel clearly assigns even less significance to the question of militarily useful research (in fact, it assigns it no significance at all): "The University of Basel focuses on the life sciences and the humanities. In these disciplines we primarily carry out basic research. Whether or not the results of this basic research might be used for military purposes in the near or distant future is at present impossible to tell. This is why weapons research is not a topic here".
An unwelcome question . . .
EPFL is more explicit. It, too, insists that it carries out basic research with a primarily civilian focus, and that it always makes its results public – which, it points out, is not really compatible with military research projects. But when asked, it admits to holding occasional consultations with the State Secretariat for Economic Affairs (SECO) regarding export licences for dual-use goods (products that may be used for both civilian and military purposes) and for 'special military goods', in other words products that may not be employed directly in battle. EPFL keeps strictly to the guidelines, it says.
What is certain is that armaments money does flow into research in Switzerland. The Federal Office for Defence Procurement (Armasuisse) paid some CHF 3.4 million to Swiss universities in 2015, as Armasuisse itself confirmed when asked. If we exclude the universities of applied sciences, the sum is CHF 2.7 million. But again, no information is given on concrete projects. Nevertheless, there is a list of all the institutions with which Armasuisse has research partnerships. These include the Universities of Bern and Zurich, ETH Zurich and EPFL, a whole series of universities of applied sciences, EMPA and. Agroscope. Foreign partners include the University of Oxford and the Technical University of Kaiserslautern. When asked about its current collaboration with Armasuisse, the University of Bern replied that this is for two projects run by the Institute for Infectious Diseases together with the Spiez Laboratory of the Swiss Federal Office for Civil Protection. "Both projects were developed by the Department of Biology and are intended to improve or enable proofs of the existence of microorganisms (in other words, newly emergent, hitherto unknown viruses) and their toxins (botulinum neurotoxin, a nerve poison)". Initially, the University had also stated that "no weapons research projects are being carried out at the University of Bern".
Three years ago, the Sonntagszeitung in Switzerland also revealed that the Pentagon's 'Darpa Program' supported roughly a dozen research projects between 2011 and 2013, to the tune of more than a million dollars. These American armaments monies were paid to institutions including ETH Zurich and the Universities of Zurich, Bern and Neuchâtel. They primarily financed basic research such as quantum information processing and microelectronics. Some of the work was more applied in nature, such as the development of a portable telescopic contact lens or acquiring new knowledge about the evolution of flu viruses.
. . . leads to slippery answers
But why are the universities so cagey when asked about research that is fit for military purposes? One possible explanation lies in the concept of 'dual use' and the fact that the boundary between the civilian and military use of research results is a porous one. This becomes all the more evident, the closer you get to basic research. The University of Zurich refers directly to this: "The University of Zurich weighs up the implications of research proposals with dual-use potential. Such research projects have to be approved by the University's management and the scientific results must be made generally available".
At our universities, many of the research projects that are funded by the military fall under this category. And many who carry out research in this field justify being open to such financing by saying that the civilian use is given priority. A good example is a project at the University of Bern to track down space junk. It is being financed by the US Air Force, but is indisputably useful for the general population, since debris circling in orbit above us can also endanger civilian satellites.
Setting up commissions
It is rarely easy to decide whether to steer clear of certain research projects. However, clear guidelines are provided by those universities with a 'civilian clause', such as the Technical University of Berlin (TU Berlin). Their clause states that "no arms research may be carried out. Furthermore … neither TU Berlin nor its research institutions may accept commissions or donations for arms-related research". The TU Berlin decided on this civil clause in 1991, shortly after having jettisoned the strict regulations on research in the natural sciences put in place just after the Second World War. Since 1946 the Allied Control Council Act No. 25 had forbidden all military research in Germany along with applied research in a series of fields that had both a civil and a military use. These included nuclear physics, aircraft construction, ship building, radar and sonar technology and cryptography. Basic research was exempted from this regulation, but was still strictly controlled.
The civil clause is more than just a declaration of intent. It is a self-imposed declaration of 'unfreedom' in research. At TU Berlin, a commission decides in a 'civil clause procedure' whether a project may be approved. Last year, however, only one project was held back, even though the university, by its own admission, is very explicit in its dealings with this clause. "Every research project has to be displayed in the TU Berlin Research Department and a binding declaration must be made to assure the University that its research goals are exclusively for civilian purposes. If this declaration is not made, then the project is not accepted. With industrial projects, the contractual partner has to confirm in writing, in the actual contract, that the research results will be exclusively used for civilian purposes". The commission decides in individual cases whether all doubts have been unambiguously dispelled. If they remain, however, then the project is rejected.
This procedure is reminiscent of projects with animal experiments and medical studies, where ethics commissions are involved in the development process. In such cases, a commission is powerful enough to halt a project if needs be. This ethical safeguard is not an exercise in tokenism. There is a series of laws that places boundaries on research. In this sense, any assumption that research is not free is not quite correct. However, there is no similarly restrictive law against potential weapons research – not even in Japan, where there is a strong peace movement that is also active at the universities.
Achieving greater transparency
Often, researchers and universities argue that military research would take place anyway – if not at universities, then behind closed doors in specialised research laboratories. In Switzerland, for example, this would happen at Ruag. By its own admission, this company invested CHF 140 million in research and development in 2014 – and it also invested in various research partnerships with industry and universities. But Ruag also stops short of providing greater detail.
In Germany, several universities have followed the example of TU Berlin and have introduced a civil clause. In Switzerland, however, there are no such clauses. What is less surprising is that the 'Group for a Switzerland without an army' (GSOA) regularly campaigns for restrictions on arms research. And the GSOA also knows about the crucial issue of dual use. Thomas Leibundgut is responsible for this topic at GSOA, though he believes that a civil clause would affect only very few projects in Switzerland: "Explicit weapons research plays a marginal role at Swiss universities". He believes that "even just talking about civilian clauses means we've already made a lot of progress".
The GSOA is trying to get students to exert political pressure on university management – such as in Bern, for example. The committee of the student body of the University of Bern is busy acquiring information from the University's management and faculties about the arms research being carried out there. "Our goal is prevention. It's not necessarily about stopping concrete projects", says Corina Liebi, a history student who initiated the process in collaboration with the GSOA.
This situates the question about arms research in a much bigger, political and research context, as it touches on the often-criticised lack of transparency in research funding from third parties. Liebi is hoping to change this: "It would be important just to know exactly what is being researched, and what the deals are".
Not much weapons research
However, Swiss universities are not profiting much from armaments funding. The technology historian David Gugerli was part of a team tasked with writing the history of ETH Zurich, and he had expected to come across a 'military pedagogical complex' in the course of their work. Because at least until the Industrial Revolution, scientists were mostly employed by the military. They had to be able to construct fortifications and had to know about ballistics, and this knowledge was acquired at specialised educational institutions.
But the Swiss researchers were surprised: they did not find any such close entanglement between the universities and the military in Switzerland. Gugerli believes that the reasons for this lie in the founding of ETH Zurich, when a conscious decision was made to set itself apart from the French engineering tradition. The Swiss did not want to build palaces and fortresses and produce armaments, but instead were concentrating primarily on the construction industry and mechanical engineering. In this sense, Switzerland could well be a special case in weapons research, says Gugerli. However, this does not mean that Swiss industry has simply steered clear of arms projects. Gugerli mentions Bührle as a case in point, adding that the really interesting question is whether or not this company actually needed the help of the federal government in order to achieve its success: "In other European countries, technology polices have a distinctly national slant, such as is the case in France. In Switzerland, however, when similar policies were tried out, they had little success".
But whoever looks beyond the boundaries of Switzerland to consider the broader history of science has to admit: without large-scale projects during and after the Second World War, basic research would not be where it is today. The Manhattan Project, in which some 150,000 researchers and technicians worked on the atom bomb from 1942 onwards, set new standards in this regard. As a result, atomic research became a prime example of dual-use technology – and remains so to this day.
Roland Fischer is a science journalist in Bern.